Having oral sex while not married could get him disfellowshipped tomorrow Diamonddiiz. I think JW's are are not even good marriage mates for each other but what other choices do they have? Oh yeah, leave for a while, find someone worldly, then go back and make nice. If I had a nickle for every time.....
cognizant dissident
JoinedPosts by cognizant dissident
I don't believe my boyfriend is 100% committed to this religion. How to handle?
by herlovelyworld inhi guys!
im very new here and i need a little help.. im not a witness, but i know all of the quirks and rules and whatnot because my long-distance boyfriend is a witness.
the issue, other than the obvious, is that i fell in love with him before he told me he was one of jehovahs witnesses.
Online Dating: Tried It?
by daringhart13 inhas anyone tried online dating?.
i travel constantly and feel like i'm only home on weekends....tough to meet anyone near me..... any success?
waste of time?.
cognizant dissident
White Dove, I think the type of dating service one joins is also very important. I've seen some that were exclusively for married people who want to cheat discreetly, no strings. I've seen others that are all young people putting up naked pictures of themselves. I think there are some that cater to more middle aged professional people who are looking for the same. E-Harmony will not even let separated people join. You have to be legally divorced.
I should also stress there are plenty of sleaze bags on line. I was talking to one man by email for about a week. I got red flags from him because he kept calling me Dear and Honey, and capitalizing True Love which I thought was all premature for a weeks conversation with someone I had never met. Sure enough, within a week, he had some emergency while out of country and hit me up to wire him some money to the UK. Yeah, like I was born yesterday. I told him I was a poor student living on a student loan and had no money to lend. Never heard from him again. (I blocked him anyway, just in case)
I don't believe my boyfriend is 100% committed to this religion. How to handle?
by herlovelyworld inhi guys!
im very new here and i need a little help.. im not a witness, but i know all of the quirks and rules and whatnot because my long-distance boyfriend is a witness.
the issue, other than the obvious, is that i fell in love with him before he told me he was one of jehovahs witnesses.
cognizant dissident
Nathan Natas nailed it for you. If you are wise, you will listen.
The fact that your boyfriend got uncomfortable and tried to change the subject when you brought up religious issues with him, speaks volumes. He is not truly comfortable with totally open-minded communication. That is a more likely predictor of doom for the relationship than being a JW, imo.
He may not be 100% committed to the religion on an intellectual or doctrinal level, but if he is 100% committed to his family and the obligation and guilt he feels, then he is 100% committed to the religion regardless of the reasons for the committal. At any rate, he cannot be 100% committed to you if his family and other social obligations influence him more than you do.
You describe a slightly nerdy, 23 year old virgin. I'm guessing the thought of having sex with you will probably get him to agree to anything at this point. However, years down the road, when the novelty of sex and your relationship has worn off, and a couple of kids in house trigger all his own childhood conditioning to come to the fore (which often happens when couples have children), the differences might become an impassable gulf.
You said a small part of him is OK with maybe giving you flowers on Valentines or letting you have a Christmas tree? That means a BIG part of him isn't OK with it. That is the part you should be paying attention to. Just the fact that he thinks he will "let you" tells you much about the mindset of the JW male. He has been trained from childhood to believe he will be the head of the house, the head of you, and you should be submissive. If he changes his mind and no longer decided to "let you", you will be expected to submit to your husbandly head. This will be constantly reinforced in his head if he ever goes back to the meetings. You may also end up in a heartbreaking battle for your children's minds, if he changes his.
This is not a once a week on Sunday religion. It encompasses every single aspect of its members lives and by default their spouses lives. Nothing will be sacred including your sex life. He may yet decide to confess every single intimate detail of your oral sex to a committee of old men in a fit of misguided guilt.
Sure, he might see your points and get out if he can mature and learn to think for himself. Right now, from what you've described, he is not in that place. It's only wishful thinking on your part. Do you want to gamble your future happiness on it?
You don't have to break up with him if you don't want to, but do not move in with him, marry him or have a child with him, until you see for sure which path he ends up taking. Make sure it is his mind that has changed not just his behaviour. Many, many, many JW's walk on the wild side until they find a mate in the world, and then they want to return to the fold and make themselves right with Jehovah, now that they are happy and content with their life. (leaving the unbelieving mate to say, WTF happened?
Online Dating: Tried It?
by daringhart13 inhas anyone tried online dating?.
i travel constantly and feel like i'm only home on weekends....tough to meet anyone near me..... any success?
waste of time?.
cognizant dissident
Women can have just a strong a sex drive as men. Sometimes stronger. It's good not to generalize. There are always people on those sites who come right out and say they don't want a relationship, just sex. As if having sex isn't having a relationship. I think what they mean is they don't want a commitment. Which is fine. As long as both people are up front about it. I would rather someone be up front about this so that people who are looking for more of a committed monogamous relationship don't waste their time with them.
Online Dating: Tried It?
by daringhart13 inhas anyone tried online dating?.
i travel constantly and feel like i'm only home on weekends....tough to meet anyone near me..... any success?
waste of time?.
cognizant dissident
I've done it. I had a date last week, in fact. There were no sparks but he was a nice guy and I'm glad I did it to help get my feet wet.
I think it is a good way for singles to make introductions to one another. You can put in all your search preferences and pre-screen all your deal-breakers out up front. When you approach someone attractive in a store or restaurant, you have no idea if they are available or interested in dating. You have no idea what kind of a person they are or what their interests are. On-line dating services do the first step (which is the hardest) for you. Everyone there is presumably single and looking. You can weed out people you don't find physically attractive or who creep you out by what they've said about themselves without all the risk and embarrassment of approaching strangers. You can select people who have already said they have interests in common with you.
That being said, always meet somewhere public and low-key on first date, such as coffee shop. Don't just carry on an email or chat relationship. People can pretend to be anything and even if they are 100% truthful, physical chemistry is something that you cannot judge on-line. It is necessary to meet to get a true sense of a person.
Whole congregation leaves...
by cyberjesus incan you please mention some examples of whole congregations leaving the wt?
i just saw a post of a congregation leaving in sicily in 1988, the 4 elders and 70 members.
cognizant dissident
When I was a child in the 1970's, the entire Greek congregation in Vancouver, BC was disbanded due to apostasy on the part of most of the elders. The elders were all df'd and the loyal congregation members were split up and sent to neighbouring congregations.
...Who is the "Bilderberg Group"?...What effect Do they Have on your Life?...
by OUTLAW inthis thread is your chance to participate in an investigation... google is your friend..use it... .
the "bilderberg group" is a publicy known group..they don`t hide... they are the worlds "most" powerful people.. they influence your life everyday... they will influence your future... they have an agenda..and..have made a public statement about it... i will make the 1st post... of a public statement made by the "bilderberg group"... .
denis healey.
cognizant dissident
OK, I just want to say, that while I don't agree with Outlaw's take on all of this, given the history of cameo-d's posts on this forum, the queen of the tin-foil hats suggesting he is wearing a tin foil hat, is side-splittingly hilarious!
Uh, hello pot? This is the kettle. Your black!
...Who is the "Bilderberg Group"?...What effect Do they Have on your Life?...
by OUTLAW inthis thread is your chance to participate in an investigation... google is your friend..use it... .
the "bilderberg group" is a publicy known group..they don`t hide... they are the worlds "most" powerful people.. they influence your life everyday... they will influence your future... they have an agenda..and..have made a public statement about it... i will make the 1st post... of a public statement made by the "bilderberg group"... .
denis healey.
cognizant dissident
I agree with Satanus on this one. I don't see global government as a big problem. I see it as a much more efficient way to get things done without the obstacles of nationalism standing in the way.
Also, the world is overpopulated and the masses are using up the resources although not in an equitable way. The rich, elite few already rule the world governments and economies. Millions are already being ethnically cleansed in national and civil wars. Millions of the poor are already dying and starving. Contagious diseases already take the lives of millions every year.
All of that is already the reality of the world we live in, today. We don't need an elite world government to create a conspiracy to make it happen in the future. If pharmaceutical companies would stop making vaccines and medicines, then millions more people would die every year.
Getting the brightest minds to stop working at cross purposes and start working cooperatively to solve some of these problems could not be any worse of an undertaking than what we have now.
Update on Lady Lee
by Dogpatch inlee got her computer today and is setting it up.
Materials data from another source follow:
=====
An optimized crystal structure of Mg2AlCr, computed with PBE.

Values from the calculation:
E_form   0.811 eV/f.u.
Space group   Pm
Final energy   -3.94 eV per atom

The structure in POSCAR format:
```
Mg2AlCr
1.0
6.026 0.000 0.000
0.000 4.649 0.000
-2.903 0.000 5.291
Mg Al Cr
4 2 2
Direct
0.000 0.000 0.000
0.000 0.000 0.485
0.339 0.500 0.167
0.828 0.500 0.658
0.494 0.000 0.511
0.511 0.000 0.984
0.343 0.500 0.671
0.814 0.500 0.152
```

---

An optimized crystal structure of CrNi3Ir3, computed with PBE.

Values from the calculation:
E_form   0.221 eV/f.u.
Space group   P1
Final energy   -7.62 eV per atom

The structure in POSCAR format:
```
CrNi3Ir3
1.0
6.441 0.000 0.000
-1.666 7.679 0.000
-1.720 -2.782 7.258
Cr Ni Ir
4 12 12
Direct
0.000 0.000 0.000
0.063 0.077 0.703
0.510 0.625 0.126
0.667 0.451 0.631
0.004 0.503 0.497
0.007 0.248 0.248
0.020 0.758 0.751
0.053 0.574 0.206
0.244 0.320 0.062
0.247 0.810 0.554
0.407 0.657 0.794
0.410 0.161 0.285
0.484 0.370 0.873
0.494 0.119 0.625
0.497 0.874 0.374
0.682 0.951 0.141
0.060 0.447 0.815
0.076 0.960 0.321
0.253 0.311 0.560
0.253 0.801 0.063
0.401 0.039 0.909
0.422 0.549 0.409
0.664 0.380 0.196
0.673 0.871 0.705
0.804 0.181 0.482
0.811 0.668 0.970
0.818 0.222 0.927
0.824 0.740 0.425
```

---

An optimized crystal structure of PrLuIrAu, computed with PBE.

Values from the calculation:
E_form   -2.898 eV/f.u.
Space group   F-43m
Final energy   -6.08 eV per atom

The structure in POSCAR format:
```
PrLuIrAu
1.0
0.000 3.555 3.555
3.555 0.000 3.555
3.555 3.555 0.000
Pr Lu Ir Au
1 1 1 1
Direct
0.000 0.000 0.000
0.500 0.500 0.500
0.250 0.250 0.250
0.750 0.750 0.750
```

---

An optimized crystal structure of YRuAu3, computed with PBE.

Values from the calculation:
E_form   6.182 eV/f.u.
Energy above the most stable polymorph in this dataset   818 meV per atom
Space group   Pm-3m
Final energy   -3.88 eV per atom

The structure in POSCAR format:
```
YRuAu3
1.0
5.303 0.000 0.000
0.000 5.303 0.000
0.000 0.000 5.303
Y Ru Au
1 1 3
Direct
0.000 0.000 0.000
0.500 0.500 0.500
0.000 0.000 0.500
0.000 0.500 0.000
0.500 0.000 0.000
```

---

An optimized crystal structure of PdRu2Pt2, computed with PBE.

Values from the calculation:
E_form   1.934 eV/f.u.
Energy above the most stable polymorph in this dataset   94 meV per atom
Space group   I4/mmm
Final energy   -6.78 eV per atom

The structure in POSCAR format:
```
PdRu2Pt2
1.0
-1.792 1.792 6.405
1.792 -1.792 6.405
1.792 1.792 -6.405
Pd Ru Pt
1 2 2
Direct
0.000 0.000 0.000
0.250 0.750 0.500
0.750 0.250 0.500
0.399 0.399 0.000
0.601 0.601 0.000
```

---

An optimized crystal structure of CuSi2W2, computed with PBE.

Values from the calculation:
Formation energy from raw total energies   0.354 eV/atom
Energy above the most stable polymorph in this dataset   308 meV per atom
Space group   I4/mmm
Final energy   -7.82 eV per atom

The structure in POSCAR format:
```
CuSi2W2
1.0
-1.931 1.931 5.523
1.931 -1.931 5.523
1.931 1.931 -5.523
Cu Si W
1 2 2
Direct
0.000 0.000 0.000
=====
all works but her dsl and she is beside herself.
she may be back on tomorrow; gots to go down to the merchant and get their help.. thank all of you so much.
cognizant dissident
My internet provider (Shaw Cable) comes with its own anti-virus software for free which I find just excellent. I've never had a problem but when I had Norton, I did have an occasional virus get through still. Plus its expensive.
Update on Lady Lee
by Dogpatch inlee got her computer today and is setting it up.
all works but her dsl and she is beside herself.
she may be back on tomorrow; gots to go down to the merchant and get their help.. thank all of you so much.
cognizant dissident
If you can't trust Randy and Lady Lee, then you can't trust any one! That was kind of you to pass the hat for her Randy.
I think it's better to risk getting burned occasionally, than to let past bad experiences erode our natural generosity of spirit.